Work order:
It remains to return the lines below up to the one that holds "0.5237 0.5631", that line included.
Input:
=====
No. 1
Entry from the Materials Project: a relaxed AlFe3O crystal (PBE with a Hubbard U).

Structure (POSCAR):
```
AlFe3O
1.0
-1.6088 3.6501 1.0052
0.5085 -0.8740 3.9874
3.7517 1.6837 -0.1093
Fe O Al
3 1 1
direct
0.5000 0.0000 0.0000
0.0000 0.0000 0.5000
0.0000 0.5000 0.0000
0.0000 0.0000 0.0000
0.5000 0.5000 0.5000
```

* space group: Pm-3m, No. 221
* magnetization: 10.4 μB per formula unit
* E_tot: -0.1759 Ha/atom
* energy relative to the elements: 2.7 eV/f.u.
* crystal system: cubic
* V: 70 Å³/cell

=====

No. 2
Entry from the Materials Project: a relaxed AlFeO3 crystal (PBE with a Hubbard U).

Structure (POSCAR):
```
AlFeO3
1.0
-4.5181 0.5212 1.7361
-0.3558 -5.0737 0.5975
2.6850 0.6129 6.8035
O Al Fe
12 4 4
direct
0.6900 0.3064 0.4283
0.8617 0.5635 0.7500
0.8100 0.8064 0.0717
0.3100 0.6936 0.5717
0.3617 0.9365 0.2500
0.6383 0.0635 0.7500
0.6900 0.3064 0.0717
0.1900 0.1936 0.9283
0.3100 0.6936 0.9283
0.1900 0.1936 0.5717
0.1383 0.4365 0.2500
0.8100 0.8064 0.4283
0.0000 0.5000 0.5000
0.0000 0.5000 0.0000
0.5000 0.0000 0.0000
0.5000 0.0000 0.5000
0.9763 0.0631 0.2500
0.0237 0.9369 0.7500
0.4763 0.4369 0.7500
0.5237 0.5631 0.2500
```

* space group: Pnma, No. 62
* magnetization: 0.0 μB per formula unit
* E_tot: -0.2585 Ha/atom
* energy relative to the elements: -12.4 eV/f.u.
* crystal system: orthorhombic
* V: 183 Å³/cell

=====

No. 3
Entry from the Materials Project: a relaxed Al5Fe3O12 crystal (PBE with a Hubbard U).

Structure (POSCAR):
```
Al5Fe3O12
1.0
-5.1952 -2.1786 1.2156
-2.5114 -3.6464 -3.6893
5.9725 -10.7254 6.4774
Al O Fe
10 24 6
direct
0.6587 0.6587 0.6574
0.6727 0.6727 0.2950
0.3273 0.3273 0.7050
0.1679 0.1679 0.1641
0.6703 0.6703 0.0470
0.9958 0.9958 0.3796
0.8321 0.8321 0.8359
0.3297 0.3297 0.9530
0.3413 0.3413 0.3426
0.0042 0.0042 0.6204
0.1729 0.1729 0.4159
0.4948 0.4948 0.2555
0.3478 0.8467 0.5885
0.0260 0.4812 0.2497
0.8271 0.8271 0.5841
0.9740 0.5188 0.7503
0.0099 0.0099 0.2462
0.8458 0.3413 0.0941
0.1542 0.6587 0.9059
0.6522 0.1533 0.4115
0.1533 0.6522 0.4115
0.3297 0.3297 0.0845
0.1644 0.1644 0.9099
0.8356 0.8356 0.0901
0.4812 0.0260 0.2497
0.3413 0.8458 0.0941
0.3221 0.3221 0.5780
0.6779 0.6779 0.4220
0.5188 0.9740 0.7503
0.5052 0.5052 0.7445
0.9901 0.9901 0.7538
0.6587 0.1542 0.9059
0.8467 0.3478 0.5885
0.6703 0.6703 0.9155
0.0000 0.5000 0.5000
0.1685 0.6765 0.1612
0.8315 0.3235 0.8388
0.6765 0.1685 0.1612
0.5000 0.0000 0.5000
0.3235 0.8315 0.8388
```

* space group: C2/m, No. 12
* magnetization: 15.0 μB per formula unit
* E_tot: -0.2612 Ha/atom
* energy relative to the elements: -53.6 eV/f.u.
* crystal system: monoclinic
* V: 400 Å³/cell
* energy above the most stable polymorph in this dataset: 0.037 eV per atom


YRu2, optimized geometry, DFT meta-GGA r2SCAN; ΔE_f = -0.97 eV per formula unit; space group = P6_3/mmc
1.0
-0.254 1.108 -5.106
-0.681 -4.918 1.646
-8.794 1.471 0.757
Y Ru
4 8
Cartesian
-4.342 -2.273 -0.277
-5.387 -0.065 -2.425
-8.596 0.472 -2.149
-1.133 -2.810 -0.554
-6.870 -0.381 0.259
-7.204 -2.789 1.065
-2.401 -0.092 -1.268
-2.859 -1.957 -2.962
-7.328 -2.247 -1.434
0.000 0.000 0.000
-2.525 0.451 -3.768
-4.397 0.736 0.379



K7Th6F31, optimized geometry, DFT meta-GGA r2SCAN; ΔE_f = -178.52 eV per formula unit; space group = R3
1.0
5.630 -7.640 0.009
5.630 7.641 0.009
-4.751 0.000 8.216
K Th F
7 6 31
Cartesian
5.596 -3.047 2.270
2.329 -4.115 4.697
6.403 1.117 1.476
3.263 0.000 4.127
0.017 -1.060 6.681
4.157 4.107 3.408
0.811 2.999 5.897
7.343 -0.665 5.114
3.844 -1.909 7.880
1.659 -2.382 1.059
4.749 2.575 7.165
2.519 1.750 0.380
-0.718 0.632 2.938
3.986 -5.667 1.242
4.681 -4.987 3.918
9.136 -0.870 1.710
3.913 -4.106 6.992
6.570 -1.360 0.440
3.824 -3.042 0.163
1.359 -4.854 7.859
5.457 -1.590 6.179
8.193 0.957 3.608
5.822 -0.567 3.472
3.097 -2.372 2.789
2.596 -1.807 6.022
-0.098 -3.548 5.712
6.009 1.184 5.743
3.075 -0.490 0.812
3.848 0.406 7.451
0.496 -1.408 2.851
6.608 3.569 2.395
3.886 1.793 2.166
0.545 -0.001 0.690
3.367 2.375 5.413
0.662 0.580 4.715
-1.654 -0.990 4.493
1.163 1.898 2.325
=====
Written answer:
No. 1
Entry from the Materials Project: a relaxed AlFe3O crystal (PBE with a Hubbard U).

Structure (POSCAR):
```
AlFe3O
1.0
-1.6088 3.6501 1.0052
0.5085 -0.8740 3.9874
3.7517 1.6837 -0.1093
Fe O Al
3 1 1
direct
0.5000 0.0000 0.0000
0.0000 0.0000 0.5000
0.0000 0.5000 0.0000
0.0000 0.0000 0.0000
0.5000 0.5000 0.5000
```

* space group: Pm-3m, No. 221
* magnetization: 10.4 μB per formula unit
* E_tot: -0.1759 Ha/atom
* energy relative to the elements: 2.7 eV/f.u.
* crystal system: cubic
* V: 70 Å³/cell

=====

No. 2
Entry from the Materials Project: a relaxed AlFeO3 crystal (PBE with a Hubbard U).

Structure (POSCAR):
```
AlFeO3
1.0
-4.5181 0.5212 1.7361
-0.3558 -5.0737 0.5975
2.6850 0.6129 6.8035
O Al Fe
12 4 4
direct
0.6900 0.3064 0.4283
0.8617 0.5635 0.7500
0.8100 0.8064 0.0717
0.3100 0.6936 0.5717
0.3617 0.9365 0.2500
0.6383 0.0635 0.7500
0.6900 0.3064 0.0717
0.1900 0.1936 0.9283
0.3100 0.6936 0.9283
0.1900 0.1936 0.5717
0.1383 0.4365 0.2500
0.8100 0.8064 0.4283
0.0000 0.5000 0.5000
0.0000 0.5000 0.0000
0.5000 0.0000 0.0000
0.5000 0.0000 0.5000
0.9763 0.0631 0.2500
0.0237 0.9369 0.7500
0.4763 0.4369 0.7500
0.5237 0.5631 0.2500